**Job**
Reproduce everything further below with every line break kept, please.

**Entries**
┌──
Record 1
2 unconnected molecules or ions with the total composition C4H11NO4P at a distorted geometry. Source: the OMol25 dataset; level of theory: the ωB97M-V functional and the def2-TZVPD basis.

Geometry (Å):
1 C 1.125 -0.348 -0.448
2 C -0.107 -1.800 -2.355
3 C 0.596 -1.604 -1.134
4 H -1.091 -1.402 -2.622
5 O 0.189 0.395 0.080
6 H -0.032 -1.634 -0.219
7 C 2.540 -0.509 0.049
8 O 0.658 1.101 2.471
9 H -3.233 3.415 0.280
10 O -1.834 0.718 1.595
11 H -0.002 -2.670 -2.892
12 P -0.216 0.236 1.690
13 H -1.891 2.715 0.844
14 O -0.226 -1.253 2.027
15 H 2.680 0.517 0.470
16 H 2.610 -1.186 0.837
17 H 3.056 -0.909 -0.826
18 H -1.782 3.283 -0.746
19 H 1.385 -2.335 -1.050
20 H -2.253 -0.144 1.757
21 N -2.173 3.412 0.192

For the HOMO energy (spin up / spin down), the calculation gives -3.03 / -4.27 eV. Its frontier orbital gap (spin up / spin down) is 6.41 / 7.91 eV. The LUMO energy (spin up / spin down) is 3.4 / 3.6 eV. As for the molecular weight: 168.11 g mol⁻¹. As for the net charge: -1.

Atom charges from the Löwdin analysis, given in e for atoms 1 to 8: -0.406, -0.004, -0.256, 0.038, -0.155, 0.119, -0.050, -0.305



Record 2
C9H12O3 in the gas phase at a distorted geometry. Source: the OMol25 dataset; level of theory: the ωB97M-V functional and the def2-TZVPD basis.

Geometry (Å):
1 C 0.275 0.152 -0.375
2 H 3.360 0.225 -0.527
3 O 0.574 -1.730 -1.907
4 C -1.748 -1.523 -1.038
5 H -2.353 -0.635 -1.443
6 C -0.085 -1.035 -1.172
7 H -3.009 -2.969 -1.994
8 H -1.425 -3.658 -1.614
9 H 1.344 2.418 2.591
10 C 1.553 0.489 -0.124
11 H -0.581 2.763 1.369
12 C -0.694 0.965 0.300
13 C 1.033 1.501 2.141
14 H 2.976 0.926 1.369
15 H -1.703 -2.424 -2.829
16 C 2.038 1.267 0.990
17 H -1.222 1.510 2.259
18 C -0.429 1.715 1.580
19 O -1.811 1.107 -0.125
20 H 2.359 2.363 0.594
21 H 1.041 0.617 2.790
22 O 2.544 0.169 -0.990
23 H -2.055 -1.473 -0.004
24 C -1.985 -2.740 -1.841

For the HOMO energy, the calculation gives -8.99 eV. Its frontier orbital gap is 9.22 eV. The LUMO energy is 0.2 eV. As for the molecular weight: 168.19 g mol⁻¹. As for the net charge: 0. As for the SMILES: CCC(=O)C1=C(O)CCCC1=O.

Atom charges from the Löwdin analysis, given in e for atoms 1 to 8: -0.041, 0.096, 0.089, -0.159, 0.120, -0.244, 0.058, 0.085



Record 3
A molecular structure, C12H11F2HfN at a distorted geometry. Source: the OMol25 dataset; level of theory: the ωB97M-V functional and the def2-TZVPD basis.

Geometry (Å):
1 H 0.105 -3.515 4.533
2 C 0.206 -0.730 2.520
3 H 0.150 3.502 4.486
4 H -0.009 -1.002 -2.496
5 H 0.562 3.104 0.183
6 C 0.208 2.908 3.586
7 H 0.338 4.607 2.230
8 H 0.045 0.816 -2.700
9 C 0.115 -2.854 1.169
10 C 0.146 -2.933 3.627
11 H -1.399 -0.194 0.074
12 C 0.308 3.531 2.346
13 C 0.160 -1.470 1.296
14 Hf 0.280 0.022 -0.201
15 H -1.373 0.269 -0.656
16 C 0.233 -1.553 3.666
17 C 0.198 0.733 2.570
18 N 0.169 1.413 1.376
19 H 1.640 -0.111 -2.406
20 F -0.043 -4.906 2.309
21 H 0.079 -3.330 0.205
22 H 0.175 1.037 4.648
23 C 0.374 2.761 1.198
24 F 0.306 -1.014 4.932
25 C 0.197 1.541 3.689
26 C 0.546 -0.076 -2.345
27 C 0.093 -3.544 2.377

For the HOMO energy, the calculation gives -16.53 eV. Its frontier orbital gap is 6.34 eV. The LUMO energy is -10.2 eV. As for the molecular weight: 385.71 g mol⁻¹. As for the net charge: +2.

Atom charges from the Löwdin analysis, given in e for atoms 1 to 8: 0.164, -0.116, 0.147, 0.022, 0.134, 0.044, 0.137, 0.015



Record 4
A molecular structure, C9H12MoNO2. Source: the OMol25 dataset; level of theory: the ωB97M-V functional and the def2-TZVPD basis.

Geometry (Å):
1 C 1.385 0.125 -1.718
2 H 0.767 3.973 1.082
3 C 2.181 0.025 -0.557
4 H -2.210 -3.887 -0.037
5 H 1.772 2.996 2.181
6 C 0.378 1.112 -1.776
7 H -3.159 -2.462 -0.501
8 H -0.313 -2.908 -0.704
9 N -1.049 -2.195 -0.688
10 C 1.021 1.964 0.462
11 H -0.613 2.736 -0.762
12 C 1.967 0.900 0.537
13 H 2.978 -0.710 -0.504
14 C 0.162 1.980 -0.679
15 H -1.306 -2.064 -1.669
16 Mo -0.142 -0.241 0.228
17 C -2.426 -2.461 1.427
18 H 1.589 -0.505 -2.577
19 H 0.012 2.818 2.160
└──

**Response**
Record 1
2 unconnected molecules or ions with the total composition C4H11NO4P at a distorted geometry. Source: the OMol25 dataset; level of theory: the ωB97M-V functional and the def2-TZVPD basis.

Geometry (Å):
1 C 1.125 -0.348 -0.448
2 C -0.107 -1.800 -2.355
3 C 0.596 -1.604 -1.134
4 H -1.091 -1.402 -2.622
5 O 0.189 0.395 0.080
6 H -0.032 -1.634 -0.219
7 C 2.540 -0.509 0.049
8 O 0.658 1.101 2.471
9 H -3.233 3.415 0.280
10 O -1.834 0.718 1.595
11 H -0.002 -2.670 -2.892
12 P -0.216 0.236 1.690
13 H -1.891 2.715 0.844
14 O -0.226 -1.253 2.027
15 H 2.680 0.517 0.470
16 H 2.610 -1.186 0.837
17 H 3.056 -0.909 -0.826
18 H -1.782 3.283 -0.746
19 H 1.385 -2.335 -1.050
20 H -2.253 -0.144 1.757
21 N -2.173 3.412 0.192

For the HOMO energy (spin up / spin down), the calculation gives -3.03 / -4.27 eV. Its frontier orbital gap (spin up / spin down) is 6.41 / 7.91 eV. The LUMO energy (spin up / spin down) is 3.4 / 3.6 eV. As for the molecular weight: 168.11 g mol⁻¹. As for the net charge: -1.

Atom charges from the Löwdin analysis, given in e for atoms 1 to 8: -0.406, -0.004, -0.256, 0.038, -0.155, 0.119, -0.050, -0.305



Record 2
C9H12O3 in the gas phase at a distorted geometry. Source: the OMol25 dataset; level of theory: the ωB97M-V functional and the def2-TZVPD basis.

Geometry (Å):
1 C 0.275 0.152 -0.375
2 H 3.360 0.225 -0.527
3 O 0.574 -1.730 -1.907
4 C -1.748 -1.523 -1.038
5 H -2.353 -0.635 -1.443
6 C -0.085 -1.035 -1.172
7 H -3.009 -2.969 -1.994
8 H -1.425 -3.658 -1.614
9 H 1.344 2.418 2.591
10 C 1.553 0.489 -0.124
11 H -0.581 2.763 1.369
12 C -0.694 0.965 0.300
13 C 1.033 1.501 2.141
14 H 2.976 0.926 1.369
15 H -1.703 -2.424 -2.829
16 C 2.038 1.267 0.990
17 H -1.222 1.510 2.259
18 C -0.429 1.715 1.580
19 O -1.811 1.107 -0.125
20 H 2.359 2.363 0.594
21 H 1.041 0.617 2.790
22 O 2.544 0.169 -0.990
23 H -2.055 -1.473 -0.004
24 C -1.985 -2.740 -1.841

For the HOMO energy, the calculation gives -8.99 eV. Its frontier orbital gap is 9.22 eV. The LUMO energy is 0.2 eV. As for the molecular weight: 168.19 g mol⁻¹. As for the net charge: 0. As for the SMILES: CCC(=O)C1=C(O)CCCC1=O.

Atom charges from the Löwdin analysis, given in e for atoms 1 to 8: -0.041, 0.096, 0.089, -0.159, 0.120, -0.244, 0.058, 0.085



Record 3
A molecular structure, C12H11F2HfN at a distorted geometry. Source: the OMol25 dataset; level of theory: the ωB97M-V functional and the def2-TZVPD basis.

Geometry (Å):
1 H 0.105 -3.515 4.533
2 C 0.206 -0.730 2.520
3 H 0.150 3.502 4.486
4 H -0.009 -1.002 -2.496
5 H 0.562 3.104 0.183
6 C 0.208 2.908 3.586
7 H 0.338 4.607 2.230
8 H 0.045 0.816 -2.700
9 C 0.115 -2.854 1.169
10 C 0.146 -2.933 3.627
11 H -1.399 -0.194 0.074
12 C 0.308 3.531 2.346
13 C 0.160 -1.470 1.296
14 Hf 0.280 0.022 -0.201
15 H -1.373 0.269 -0.656
16 C 0.233 -1.553 3.666
17 C 0.198 0.733 2.570
18 N 0.169 1.413 1.376
19 H 1.640 -0.111 -2.406
20 F -0.043 -4.906 2.309
21 H 0.079 -3.330 0.205
22 H 0.175 1.037 4.648
23 C 0.374 2.761 1.198
24 F 0.306 -1.014 4.932
25 C 0.197 1.541 3.689
26 C 0.546 -0.076 -2.345
27 C 0.093 -3.544 2.377

For the HOMO energy, the calculation gives -16.53 eV. Its frontier orbital gap is 6.34 eV. The LUMO energy is -10.2 eV. As for the molecular weight: 385.71 g mol⁻¹. As for the net charge: +2.

Atom charges from the Löwdin analysis, given in e for atoms 1 to 8: 0.164, -0.116, 0.147, 0.022, 0.134, 0.044, 0.137, 0.015



Record 4
A molecular structure, C9H12MoNO2. Source: the OMol25 dataset; level of theory: the ωB97M-V functional and the def2-TZVPD basis.

Geometry (Å):
1 C 1.385 0.125 -1.718
2 H 0.767 3.973 1.082
3 C 2.181 0.025 -0.557
4 H -2.210 -3.887 -0.037
5 H 1.772 2.996 2.181
6 C 0.378 1.112 -1.776
7 H -3.159 -2.462 -0.501
8 H -0.313 -2.908 -0.704
9 N -1.049 -2.195 -0.688
10 C 1.021 1.964 0.462
11 H -0.613 2.736 -0.762
12 C 1.967 0.900 0.537
13 H 2.978 -0.710 -0.504
14 C 0.162 1.980 -0.679
15 H -1.306 -2.064 -1.669
16 Mo -0.142 -0.241 0.228
17 C -2.426 -2.461 1.427
18 H 1.589 -0.505 -2.577
19 H 0.012 2.818 2.160